How to implement href attribute in facebook notification? - facebook

From FB oficial documentation
When people click the notification, they'll be taken to a URL you
specify with the notification.
I have been strugling to understand what canvas app actually is. I have managed to actually send and recieve notification, however when clicking to notification fb redirects me to where a lot of 1`s is meant my app id(did not know if I should protect that so better protect) and "home" is href I specified in href parameter when making post to userid/notifications endpoint. The first part is exactly as in my settings tab listed canvas page but I can not change it.
I expected that on click I would be redirected to my website. Could some one please explaine me what have I misunderstood? I think the problem is that I really do not understand what fb canvas app is and how it works.

• Calculated crystals from another source follow:
┌──
# 1
Calculated powder diffraction line list
Compound: NaZr2CuF11
Radiation: Cu Kα
Structure: a cell relaxed with GGA-PBE

Most intense lines, 2θ from 10° to 90°, in order of rising 2θ:
17.85 deg, intensity 242, hkl 0 1 -1
17.97 deg, intensity 202, hkl 1 0 0
18.14 deg, intensity 199, hkl 0 1 0
23.05 deg, intensity 1000, hkl 1 -1 1
26.10 deg, intensity 669, hkl 0 1 1
27.63 deg, intensity 519, hkl 1 1 -1
28.03 deg, intensity 396, hkl 1 0 -2
36.60 deg, intensity 209, hkl 0 1 -3
46.73 deg, intensity 221, hkl 1 2 0
47.10 deg, intensity 203, hkl 2 -2 2
47.51 deg, intensity 207, hkl -1 1 3
55.69 deg, intensity 253, hkl 1 -2 4

Structural model:
```
NaZr2CuF11
1.0
5.2889 0.0000 0.0000
-1.5428 5.2852 0.0000
-0.8954 -2.8040 6.8468
Na Zr Cu F
1 2 1 11
Cartesian
0.0000 0.0000 0.0000
1.4051 -0.6603 5.1941
1.4456 3.1415 1.6527
-1.2191 1.2406 3.4234
-1.2512 2.9831 4.8179
-0.3875 0.3023 4.8196
-0.1498 3.8610 0.7719
0.4892 1.5100 2.5282
1.4219 1.5690 0.2154
2.1968 -1.4020 3.4234
1.4288 0.9122 6.6315
2.3615 0.9712 4.3186
3.0005 -1.3797 6.0749
3.2382 2.1789 2.0272
4.1019 -0.5019 2.0289
```

=====

# 2
Calculated powder diffraction line list
Compound: RbTl3In3Au4
Radiation: Cu Kα
Structure: a cell relaxed with GGA-PBE

Most intense lines, 2θ from 10° to 90°, in order of rising 2θ:
12.28 deg, intensity 322, hkl 1 0 0
19.30 deg, intensity 222, hkl 0 0 1
28.94 deg, intensity 300, hkl 1 1 1
31.55 deg, intensity 941, hkl 2 0 1
32.89 deg, intensity 553, hkl 2 1 0
38.41 deg, intensity 1000, hkl 2 1 1
39.19 deg, intensity 421, hkl 0 0 2
42.46 deg, intensity 359, hkl 3 0 1
43.51 deg, intensity 286, hkl 2 2 0
52.06 deg, intensity 307, hkl 2 1 2
59.97 deg, intensity 222, hkl 2 2 2
68.19 deg, intensity 270, hkl 5 0 1

Structural model:
```
RbTl3In3Au4
1.0
8.3205 0.0000 0.0000
-4.1603 7.2058 0.0000
0.0000 0.0000 4.5980
Rb Tl In Au
1 3 3 4
Cartesian
0.0000 0.0000 0.0000
2.4121 1.3926 2.2990
5.9084 1.3926 2.2990
4.1603 4.4205 2.2990
-1.6500 3.8512 0.0000
1.6500 3.8512 0.0000
0.0000 6.7091 0.0000
0.0000 3.0685 2.2990
-1.5028 5.6715 2.2990
1.5028 5.6715 2.2990
4.1603 2.4019 0.0000
```

----------

Entry 1:
# CsPm5Se8
Theoretical powder XRD pattern, Cu Kα (λ = 1.5418 Å). Input: a PBE-relaxed structure.
Peak positions follow from Bragg's law for the DFT cell and can differ from measured ones.

Structure:
abc: 11.1834 11.1834 10.3494
angles: 103.71 103.71 22.09
Positions (direct):
Cs1 0.0000 0.0000 0.0000
Pm1 0.1554 0.1554 0.4459
Pm2 0.2025 0.2025 0.8396
Pm3 0.4997 0.4997 0.5003
Pm4 0.7970 0.7970 0.1609
Pm5 0.8441 0.8441 0.5546
Se1 0.0786 0.0786 0.6453
Se2 0.2730 0.2730 0.3580
Se3 0.3298 0.3298 0.0053
Se4 0.4195 0.4195 0.6939
Se5 0.5800 0.5800 0.3065
Se6 0.6698 0.6698 0.9953
Se7 0.7265 0.7265 0.6425
Se8 0.9209 0.9209 0.3553

Peak list (10 most intense, 2θ = 15–90°, most intense first)
- 42.7 deg, rel. 100.0
- 26.9 deg, rel. 96.8
- 28.3 deg, rel. 80.9
- 38.6 deg, rel. 76.9
- 33.9 deg, rel. 75.3
- 27.0 deg, rel. 68.9
- 42.2 deg, rel. 64.9
└──


Change Facebook comment tool notification URL?

I have created an app using Facebook Canvas and loaded it as a Page Tab on a Facebook Page. The app is basically a simple site that contains several pages, each with an own comment section (Facebook Comments).
When someone leaves a comment and I reply to it, that person gets a Facebook notification saying "[Name] replied to your comment on [url]". There are two issues with this:
1. The server that we put the app on has an ugly url. We do not want to show the url anywhere. That's why we wanted to use the Facebook Canvas in the first place - so that you could view the app inside Facebook and not on the server itself.
2. When you click the notification, it brings you to the app OUTSIDE of Facebook. It sends to you that ugly url. I wish for it to take you to the app INSIDE Facebook, that is[our_page]/app_[app_id]
I was wondering if there is there any way to 1) change the url that the notification outputs and 2) the url that the notification sends you to.
Hope someone can help with this!
I have found that setting the data-href to the solves the problem. When someone uses the comments form and they are replied to, the Facebook notification will say "[Name] replied to your comment of [App name].
The issue that remains is that this does not give you a separate comment tool on each page.

Redirect Facebook App To External Page

I'm having issues configuring my Facebook app to behave as I want when posting information via the Feed Dialog. I've set up an app and created a link that correctly posts my content when clicked, but I can't figure out how to make the link to the app in the resulting post redirect where I want it to.
As an example, here's a post made via Instagram.
If I click on the 'via Instagram' link, I get either prompted or automatically redirected from the destination URL to
I've seen other posts suggest you can do something similar using a JavaScript redirect from the App Canvas page, and I've got a proof of concept doing this, but since I've seen Instagram and other apps do this seemingly internally to Facebook I'm convinced it's possible to do more cleanly.
That link goes to your app's canvas URL ( or website URL as defined in the app settings, it can't be configured with any more granularity.
This seems that it will probably do the trick most easily:
See the redirect radio button in the image they have.

top.window.location from within a facebook canvas app?

There are circumstances where I'd like a link to break out of facebook canvas' iframe. For example, if I'm linking to to the apple app store, it seems more prudent to have the link target="_top" or top.window.location.
Are there any circumstances in which it is against fb policy to link out to the top window?
I think you have to do this if you are setting cookies and such. When the user first visits, I capture the signed_request, and send them to a different URL via window.parent.location.
Then once they've authenticated on my domain (where I can set 1st party cookies easily), I send them back into the canvas application to a specific page.
If there's a better way I'd love to hear it.

<<<
Starting from DFT lattice parameters and positions (PBE), the powder diffraction line list of Cd7InHg6 was simulated for Cu Kα (λ = 1.5418 Å).
Neutral-atom scattering factors, no anomalous dispersion.

Atomic structure:
Cell lengths 12.1484, 12.1484, 12.1484 Å; angles 151.08, 64.66, 123.55 degrees
Element x y z (fractional)
Cd: 0.0251 0.2612 0.2864
Cd: 0.1014 0.4880 0.8460
Cd: 0.1420 0.9880 0.3865
Cd: 0.2500 0.2500 0.0000
Cd: 0.3580 0.7446 0.8460
Cd: 0.3986 0.2446 0.3865
Cd: 0.4749 0.7612 0.2361
Cd: 0.5251 0.2388 0.7639
Cd: 0.6014 0.7554 0.6135
Cd: 0.6420 0.2554 0.1540
Cd: 0.7500 0.7500 0.0000
Cd: 0.8580 0.0120 0.6135
Cd: 0.8986 0.5120 0.1540
Cd: 0.9749 0.7388 0.7136
In: 0.2500 0.7500 0.5000
In: 0.7500 0.2500 0.5000
Hg: 0.0483 0.9425 0.6326
Hg: 0.1160 0.8144 0.9304
Hg: 0.1901 0.5575 0.1058
Hg: 0.3099 0.4157 0.3674
Hg: 0.3840 0.3144 0.6984
Hg: 0.4517 0.0843 0.8942
Hg: 0.5483 0.9157 0.1058
Hg: 0.6160 0.6856 0.3016
Hg: 0.6901 0.5843 0.6326
Hg: 0.8099 0.4425 0.8942
Hg: 0.8840 0.1856 0.0696
Hg: 0.9517 0.0575 0.3674

Top 10 peaks for 15 to 90 degrees two-theta, low angle first:
2θ 28.9, I = 100
2θ 29.4, I = 24
2θ 32.4, I = 33
2θ 33.2, I = 18
2θ 34.3, I = 41
2θ 35.0, I = 42
2θ 37.8, I = 20
2θ 38.1, I = 19
2θ 38.3, I = 99
2θ 38.9, I = 19

***

Starting from DFT lattice parameters and positions (PBE), the powder diffraction line list of CdIn4Hg7 was simulated for Cu Kα (λ = 1.5418 Å).
Neutral-atom scattering factors, no anomalous dispersion.

Atomic structure:
Cell lengths 4.9943, 4.9943, 14.7767 Å; angles 90.00, 90.00, 120.00 degrees
Element x y z (fractional)
Cd: 0.0000 0.0000 0.0000
In: 0.3333 0.6667 0.1624
In: 0.3333 0.6667 0.4127
In: 0.6667 0.3333 0.5873
In: 0.6667 0.3333 0.8376
Hg: 0.0000 0.0000 0.2438
Hg: 0.0000 0.0000 0.5000
Hg: 0.0000 0.0000 0.7562
Hg: 0.3333 0.6667 0.6696
Hg: 0.3333 0.6667 0.9247
Hg: 0.6667 0.3333 0.0753
Hg: 0.6667 0.3333 0.3304

Top 10 peaks for 15 to 90 degrees two-theta, low angle first:
2θ 31.9, I = 100
2θ 36.0, I = 74
2θ 48.8, I = 31
2θ 54.0, I = 22
2θ 62.1, I = 30
2θ 64.6, I = 13
2θ 66.6, I = 12
2θ 78.1, I = 15
2θ 85.0, I = 13
2θ 88.5, I = 10

***

Starting from DFT lattice parameters and positions (PBE), the powder diffraction line list of Cd5In3Hg2 was simulated for Cu Kα (λ = 1.5418 Å).
Neutral-atom scattering factors, no anomalous dispersion.

Atomic structure:
Cell lengths 11.1091, 11.1091, 11.1091 Å; angles 130.88, 60.09, 147.59 degrees
Element x y z (fractional)
Cd: 0.0152 0.7500 0.2652
Cd: 0.1329 0.0080 0.1409
Cd: 0.2500 0.2500 0.0000
Cd: 0.3671 0.5080 0.8751
Cd: 0.4848 0.7500 0.7348
Cd: 0.5152 0.2500 0.2652
Cd: 0.6329 0.4920 0.1249
Cd: 0.7500 0.7500 0.0000
Cd: 0.8671 0.9920 0.8591
Cd: 0.9848 0.2500 0.7348
In: 0.1202 0.6881 0.8083
In: 0.2500 0.7500 0.5000
In: 0.3798 0.1881 0.5679
In: 0.6202 0.8119 0.4321
In: 0.7500 0.2500 0.5000
In: 0.8798 0.3119 0.1917
Hg: 0.1231 0.3209 0.4440
Hg: 0.3769 0.8209 0.1978
Hg: 0.6231 0.1791 0.8022
Hg: 0.8769 0.6791 0.5560

Top 10 peaks for 15 to 90 degrees two-theta, low angle first:
>>>

Facebook search for app redirect

I recently build an iframe app for within Facebook, and for facebook only. So no need to call the iframe outside of Facebook. The only problem i have now, is that as soon as i search for the app like this:
I get the following warning:
I can't seem to find out how to configure the app so it won't redirect, but goes directly to the app itself. The only values set are the 'Website' and 'Page Tab' value. When i set a value for the 'App on Facebook', the iframe gets included in the game/app format (with Facebook games in the right bar) by Facebook, and not the Facebook page app content format.
And when i delete or adjust the 'Website' value and i use Facebook search, i get the error that the app is not configured correctly. It's now set to the full addresss outside of Facebook, because when i configure it to the Facebook App URL i get the same error.
The only value i'm sure of is the 'Page Tab' value.
Thanks in advance guys, i can't seem to find the answer myself..
UPDATE: it turns out the 'you are being redirected'-page only occurs with my Facebook profile! Probably because I'm the Facebook Page admin or the app creator? Anyway, as far as I'm concerned; case closed and problem solved :)
It's slightly confusing which options apply to what types of app on Facebook - and the behaviour of the search is slightly unintuitive but here are some pointers that might help you:
If your app is going to only exist as a page tab, it doesn't really make sense to search for it (it could theoretically exist on multiple facebook pages). These won't show up in search results unless you have also set one of the following two options as well
If you have set up your app as a canvas app, "app on facebook" in the developer settings then when you search for the App, it will redirect you to the canvas page (your iframe being pulled into a Facebook canvas.
if you have set your app up to work with Facebook Connect "Log in to my website using Facebook." in the developer settings, and you haven't also set up your app to operate as a canvas app, then Facebook will assume that you have a web app that is external to Facebook, and searches will redirect the user to your website url.
So, what you probably need to do is either remove your website url from your facebook settings if you aren't using Facebook Connect (in which case your app won't show up in Search results) or create a canvas page as well, which redirects you to the correct facebook page tab.

invite friends function of hackbook for iphone doen't work on my iphone4s

i downloaded hackbook from (* i am not sure this is the right place to download it), because i wanted to know how to send an invitation to a friend from a iphone native application.
i clicked "send invite", then on the pop-up page, I selected a friend(another facebook account of mine) and pushed "send" button.
"Sent request successfully." is displayed on the bottom of the screen.
but I don't get any request.
who can tell me how to send an invitation, better if there is a sample.
thanks in advance.
Check if your application is in sandbox mode. Users who are not listed as developers/testers will not receive invites to applications that they do not have the permissions to view.
As the OP has discovered (see comments below) - the problem was to do with not having a Canvas URL set up in the application settings.
Im not 100% sure why this is ( being an iPhone native application ). Reading through the documentation ( once again :S ) revealed no stated requirement of the Canvas URL. My best guess is that the request needs to be able to be redirected somewhere after it is accepted, if you dont specify the canvas URL maybe somehow you invalidate the request.
Did all the requests that did not go out appear once you specified the Canvas URL?